Contents
********
Entry 1:
This entry pairs a crystal structure of Hg2SeO3 with its theoretical powder XRD pattern. Radiation: Cu Ka. Structure: a structure optimized by DFT (GGA-PBE).
No peak broadening, texture or thermal motion is included.

Structural model:
abc: 8.6146 5.0353 11.7953
angles: 90.00 120.86 90.00
Fractional positions:
Hg: 0.0617 0.2293 0.4071
Hg: 0.0617 0.2707 0.9071
Hg: 0.2692 0.2022 0.1599
Hg: 0.2692 0.2978 0.6599
Hg: 0.7308 0.7022 0.3401
Hg: 0.7308 0.7978 0.8401
Hg: 0.9383 0.7293 0.0929
Hg: 0.9383 0.7707 0.5929
Se: 0.3472 0.7414 0.3812
Se: 0.3472 0.7586 0.8812
Se: 0.6528 0.2414 0.1188
Se: 0.6528 0.2586 0.6188
O: 0.1178 0.6586 0.3054
O: 0.1178 0.8414 0.8054
O: 0.3384 0.0854 0.3653
O: 0.3384 0.4146 0.8653
O: 0.3944 0.6584 0.2610
O: 0.3944 0.8416 0.7610
O: 0.6056 0.1584 0.2390
O: 0.6056 0.3416 0.7390
O: 0.6616 0.5854 0.1347
O: 0.6616 0.9146 0.6347
O: 0.8822 0.1586 0.1946
O: 0.8822 0.3414 0.6946

Main lines, by angle (2θ from 15° to 90°):
hkl 1 1 0, 2θ 21.35, intensity 41.8; hkl 1 1 -2, 2θ 23.43, intensity 32.8; hkl 2 1 -2, 2θ 27.76, intensity 100.0; hkl 3 0 -2, 2θ 31.16, intensity 31.5; hkl 1 1 2, 2θ 31.52, intensity 32.5; hkl 0 0 4, 2θ 35.46, intensity 24.1; hkl 0 2 0, 2θ 35.66, intensity 32.6; hkl 0 1 4, 2θ 39.86, intensity 22.8

---

Entry 2:
This entry pairs a crystal structure of SmHgSeO with its theoretical powder XRD pattern. Radiation: Cu Ka. Structure: a structure optimized by DFT (GGA-PBE).
No peak broadening, texture or thermal motion is included.

Structural model:
abc: 9.9809 5.8419 5.8479
angles: 90.00 103.59 90.00
Fractional positions:
Sm: 0.1129 0.0011 0.2953
Sm: 0.1129 0.4989 0.7953
Sm: 0.8871 0.5011 0.2047
Sm: 0.8871 0.9989 0.7047
Hg: 0.4930 0.2282 0.5001
Hg: 0.4930 0.2718 0.0001
Hg: 0.5070 0.7282 0.9999
Hg: 0.5070 0.7718 0.4999
Se: 0.2689 0.5048 0.3693
Se: 0.2689 0.9952 0.8693
Se: 0.7311 0.0048 0.1307
Se: 0.7311 0.4952 0.6307
O: 0.9995 0.2505 0.9998
O: 0.9995 0.2495 0.4998
O: 0.0005 0.7495 0.0002
O: 0.0005 0.7505 0.5002

Main lines, by angle (2θ from 15° to 90°):
hkl 2 0 0, 2θ 18.29, intensity 52.7; hkl 3 0 0, 2θ 27.58, intensity 41.6; hkl 1 0 -2, 2θ 30.63, intensity 100.0; hkl 2 1 1, 2θ 30.95, intensity 68.1; hkl 1 2 0, 2θ 32.00, intensity 83.0; hkl 3 1 -1, 2θ 32.32, intensity 62.1; hkl 2 2 0, 2θ 35.89, intensity 54.5; hkl 0 2 2, 2θ 44.48, intensity 50.0

---

Entry 3:
This entry pairs a crystal structure of SnHgSeO with its theoretical powder XRD pattern. Radiation: Cu Ka. Structure: a structure optimized by DFT (GGA-PBE).
No peak broadening, texture or thermal motion is included.

Structural model:
abc: 7.9260 7.7846 6.2963
angles: 90.00 90.00 90.00
Fractional positions:
Sn: 0.1291 0.0932 0.0000
Sn: 0.3709 0.0932 0.5000
Sn: 0.6291 0.9068 0.0000
Sn: 0.8709 0.9068 0.5000
Hg: 0.0832 0.6353 0.1264
Hg: 0.4168 0.6353 0.6264
Hg: 0.5832 0.3647 0.1264
Hg: 0.9168 0.3647 0.6264
Se: 0.0774 0.6518 0.6925
Se: 0.4226 0.6518 0.1925
Se: 0.5774 0.3482 0.6925
Se: 0.9226 0.3482 0.1925
O: 0.0299 0.9178 0.2246
O: 0.4701 0.9178 0.7246
O: 0.5299 0.0822 0.2246
O: 0.9701 0.0822 0.7246

Main lines, by angle (2θ from 15° to 90°):
hkl 1 2 0, 2θ 25.50, intensity 94.8; hkl 2 0 1, 2θ 26.58, intensity 100.0; hkl 0 0 2, 2θ 28.35, intensity 55.2; hkl 1 2 1, 2θ 29.23, intensity 93.8; hkl 0 1 2, 2θ 30.63, intensity 53.5; hkl 3 2 0, 2θ 41.30, intensity 68.4; hkl 3 1 2, 2θ 46.36, intensity 40.6; hkl 3 2 2, 2θ 50.85, intensity 39.9

---

Entry 4:
This entry pairs a crystal structure of SnHgSeO with its theoretical powder XRD pattern. Radiation: Cu Ka. Structure: a structure optimized by DFT (GGA-PBE).
No peak broadening, texture or thermal motion is included.

Structural model:
abc: 6.0139 4.2585 16.4312
angles: 90.00 90.00 90.00
Fractional positions:
Sn: 0.0551 0.2500 0.1886
Sn: 0.4449 0.7500 0.6886
Sn: 0.5551 0.2500 0.3114
Sn: 0.9449 0.7500 0.8114
Hg: 0.1738 0.7500 0.4722
Hg: 0.3262 0.2500 0.9722
Hg: 0.6738 0.7500 0.0278
Hg: 0.8262 0.2500 0.5278
Se: 0.1728 0.7500 0.1056
Se: 0.3272 0.2500 0.6056
Se: 0.6728 0.7500 0.3944
********
Exercise
Please filter the lines further above: keep the lines with the word "XRD".
Reply
This entry pairs a crystal structure of Hg2SeO3 with its theoretical powder XRD pattern. Radiation: Cu Ka. Structure: a structure optimized by DFT (GGA-PBE).
This entry pairs a crystal structure of SmHgSeO with its theoretical powder XRD pattern. Radiation: Cu Ka. Structure: a structure optimized by DFT (GGA-PBE).
This entry pairs a crystal structure of SnHgSeO with its theoretical powder XRD pattern. Radiation: Cu Ka. Structure: a structure optimized by DFT (GGA-PBE).
This entry pairs a crystal structure of SnHgSeO with its theoretical powder XRD pattern. Radiation: Cu Ka. Structure: a structure optimized by DFT (GGA-PBE).